15G – Marching to the Beat with Jackie Kashian

Jackie Kashian
In studio notes by Garon Cockrell
Editing and additional notes by Darryl Asher
00 – Hello! Indeed welcome to the Players Club. Matt was correct on the Palm Frond darkening our door. Jimmy’s gonna send him a jib-jab. Jimmy’s paying for Jib-Jab just for the joke.
15 G G as in………I guess we’re waiting.
Jimmy is posing a challenge to Eliot! He doesn’t think he can do it though.
Facebook related. Jimmy wants Eliot to go from 9/18 – 10/18 with NO posting comments on Non Political posts. Jimmy will give him $500! $100 to not post on Jimmy’s. Jimmy further clarifies the challenge.
05 – Matt okay with getting a free U2 album.
Grab a nap Bono! Let Clooney handle the one organization for an hour. We discuss whether Bono is a fraud or not. Does it matter? He’s gone plenty of great things.
The Cooler is back in action guys.
10 – No posts for one month Eliot! Can he do it? He can post anything or like anything but NO Comments on other non political posts.
Heads are gonna roll around here!!
Jimmy actually enjoys Eliot’s political posts because he is middle, which is why he is allowing the posts.
15 – Plenty of details of this challenge between Jimmy and Eliot.
For ONE MONTH Eliot can not respond to any non political.
20 – We talk SNL cast-members and my controversial assertion that Kristen Wiig and Bill Hader are two of the most talented cast-members to come out of SNL since original cast. Matt thinks I’m crazy.
_Materials data, kept here for reference_
# 1
Ca7SnAs6: optimized geometry, PBE.

Calculated values
The calculation puts the total energy at -118.53 eV for the cell shown. As for the symmetry: Ibam (72).

Structure (extended XYZ):
```
28
Lattice="7.229 0.000 2.713 3.474 10.403 1.732 -0.043 0.002 11.103" Properties=species:S:1:pos:R:3 pbc="T T T"
As 3.128 6.786 5.319
As 5.413 3.092 2.838
As 7.429 8.818 4.844
As 3.231 1.586 10.703
As 0.456 0.636 3.502
As 7.533 3.618 10.229
As 5.248 7.312 12.710
As 2.683 5.838 10.112
As 6.616 8.295 9.063
As 7.977 4.566 5.436
As 10.205 9.768 12.045
As 4.044 2.110 6.485
Ca 4.796 8.772 6.759
Ca 5.244 0.516 12.559
Ca 5.865 1.633 8.788
Ca 2.665 2.601 3.887
Ca 8.256 3.571 13.404
Ca 2.404 6.833 2.144
Ca 7.995 7.803 11.661
Ca 3.041 4.688 7.443
Ca 7.620 5.716 8.105
Ca 8.658 9.504 7.455
Ca 2.002 0.900 8.092
Ca 5.416 9.889 2.989
Ca 4.890 4.304 11.387
Ca 5.771 6.100 4.161
Sn 6.280 2.601 5.243
Sn 4.381 7.803 10.304
```

---

# 2
Sm2CS2N2: optimized geometry, PBE.

Calculated values
The density of states at the Fermi level is 0.000 states/eV per atom. As for the symmetry: C2/m (12). The raw formation energy is -135.0 kJ per mole of atoms.

Structure (extended XYZ):
```
7
Lattice="-0.190 3.441 -2.243 0.933 -4.166 -2.700 -6.948 -0.394 -0.017" Properties=species:S:1:pos:R:3 pbc="T T T"
S -0.482 -1.886 -2.853
S -5.722 0.768 -2.107
N -2.885 -0.768 -0.934
N -3.319 -0.351 -4.027
Sm -4.707 -1.850 -2.440
Sm -1.498 0.731 -2.520
C -3.474 -0.197 -0.009
```

---

| no. | size of the total moment (μB/f.u.) |
| --- | --- |
| 1 | 0.00 |
| 2 | 0.00 |

----------

MgRh2N PBEsol relaxed; space group = Fm-3m, No. 225; magnetic moment = 0.055 μB/atom; ΔE_f (raw) = 0.88 eV/atom; calculated total energy = -23.00 eV for the cell shown
1.0
0.0000 2.9037 2.9037
2.9037 0.0000 2.9037
2.9037 2.9037 0.0000
Mg Rh N
1 2 1
Direct
0.0000 0.0000 0.0000 Mg
0.2500 0.2500 0.2500 Rh
0.7500 0.7500 0.7500 Rh
0.5000 0.5000 0.5000 N

----------

# 1
Density functional theory data (PBE-GGA) for a relaxed FeNi2H2 crystal.

## Properties
The value obtained for the density of states at the Fermi level is 7.4 states/eV per cell. Its volume is 8.18 A^3/atom. The energy is -5.1665 eV per atom. Its space group is P4/mbm (127). The total moment is 6.759 Bohr magnetons per cell.

abc: 5.587 5.587 2.621
angles: 90.00 90.00 90.00
Atoms (fractional coordinates):
Fe: 0.000 0.000 0.000
Fe: 0.500 0.500 0.000
Ni: 0.162 0.338 0.500
Ni: 0.338 0.838 0.500
Ni: 0.662 0.162 0.500
Ni: 0.838 0.662 0.500
H: 0.206 0.706 0.000
H: 0.294 0.206 0.000
H: 0.706 0.794 0.000
H: 0.794 0.294 0.000



# 2
Density functional theory data (PBE-GGA) for a relaxed ReSbSe crystal.

## Properties
The value obtained for the density of states at the Fermi level is 3.8 states/eV per cell. Its volume is 22.37 A^3/atom. The energy is -5.4731 eV per atom. Its space group is F-43m (216). The value obtained for the formation energy without anion corrections is 1.212 eV/atom. The total moment is 0.001 Bohr magnetons per cell.

abc: 4.561 4.561 4.561
25 – We’re back to the Eliot Challenge. Eliot’s gonna go full boat! No comments at all! Except for questions on the NNF groups or his game group.
Jackie Kashian is our guest! Sit right there comfortably. She has a teacher’s autograph, Mike Leckrone.
30 – Let’s all take a deep breath here and remember whose name is on the show. Never Not Funny: The JIMMY PARDO podcast. Play games, get hurt.
Wake Me Up Before You Indie-Go-Go.
George Michael chat. And Hugh Grant chat. And more George Michael chat. Lotta ladies and gays at the George Michael show. Wives dragging husbands and some husbands (Jimmy) dragging wives.
35 – Jackie talks about her Mike Leckrone hat. She played Clarinet and Trumpet.
We’ll be back!!
Welcome back the door is closed.
Jimmy went to the restroom. Jimmy has a serious issue to talk to Matt about. The woman who yelled at us talking normally and its too loud. Jimmy unsure how we haven’t been tossed out by now.
Matt gets True or Falsed.
Paul Simon chat.
I’m here and doing great! 15 Graceland is my guess.
40 – The postman rings twice. ALWAYS.
True or False: Jimmy hates Graceland
Jackie wants a Daddy’s Dojo T-shirt.
I stifle a sneeze. Eliot not a fan of being compared to a sneeze.
Hello Eliot! Modestgames.com
Eliot goes 15 Garon!
Matt goes 15 Glug! Good one. Book end that word with a couple of Gs.
45 – Our guest, host of Dork Forest (http://tdf.libsyn.com/) , Jackie Kashian! Recent topic: Pre Haye’s code Shirley Temple Films. Upcoming episode featuring Brian Regan and Line Etiquette.
Jackie had never seen Brian Regan do stand up prior to opening for him on a tour. Apparently everyone is on board with Brian Regan from profane to Christian. He’s a top five comedian.
50 – They recorded the Dork Forest episode on the tour bus! Jimmy was a guest on Dork Forest very early on. Jackie wants him back. Jimmy might not be a fan of a Japanese sneaker but he does love an Asian backpack. He talks about it.
Jackie can tell the difference between Asian people. “Trot ‘em out!” – Jackie. She goes on guessing Jimmy and Matt’s heritages. Sort of guesses right.
55 – She talks about doing a Dirty show with Bobby Slayton, Ari Shaffir, and her.
(Unrelated to this entry: records of crystals)
........
First-principles (PBE) data for NpBr4 after structural relaxation, as listed in OQMD.

The structure belongs to space group C2/m (No. 12); the cell edges are 11.258, 8.832 and 7.436 Å and the angles 90.00°, 94.45° and 90.00°. The distinct sites, in fractional coordinates, are Np at (0.195, 0.000, 0.447), Br at (0.050, 0.000, 0.739), Br at (0.141, 0.309, 0.341) and Br at (0.177, 0.500, 0.839).

As for the total energy: -5.13 eV/atom.
........
Jackie is allowed to say no.
Jackie’s G word is Gallop! David Huntsberger likes to smell horse faces. Apparently he is a cowboy! Some club owner said to Jackie, “You’re a carnie aren’t you, Jackie?” She answered, “No I am not circus people.”
60 – Jackie talks about influences Jimmy had on her. Like calling Lankershim, “The Shim.”
Jimmy true or falses Jackie about leaving early from her wedding. Jackie’s husband had a wizard beard and an iguana when she met him. Danielle said that was two deal breakers.
Jimmy unsure how Eliot has not come in here on a murder spree. Jackie not technological advanced enough to get images on her phone. She has a burner and her passport in case she needs to disappear or get off the grid.
65 – Jackie asks if anyone has been to a Pow Wow. Panel talks indian influence.
Jackie tells her favorite story about driving with her husband to a casino and lamenting on the lack of Native American restaurants.
Jackie got married 10/2006. Jimmy guesses 2007. So close! Jackie talks about her brother who prevented her from being in the marching band.
70 – Jackie and Jimmy dispute Danielle’s appearance at her Bachelorette Party. Jackie did not remember that Danielle did not go to the Barry Manilow concert.
Jackie explains some N.A. foods and why no N.A. restaurants.
All comedy makes Jackie change and grow. Nobody owns a room like Jimmy Pardo according to Jackie. You’re goddamn right! – Jimmy.
75 – George Michael
We talk recent album purchases.
Music and Lyrics based on Hall and Oates?
90 – On 27 June 1995, Grant was arrested in a Los Angeles, California, police vice operation not far from Sunset Boulevard for misdemeanour lewd conduct in a public place with Hollywood prostitute Divine Brown.[109] He pleaded no contest and was fined $1,180, placed on two years’ summary probation, and was ordered to complete an AIDS education program by Robert J. Sandoval.[110][111]
Wolfgang Puck is Jimmy’s least favorite chef. Matt does his Wolfgang!
More True Falsing from Jimmy! Did Jimmy watch doumentaries all day on 9/11

Urban Outfitters’ totally classy sweatshirt
Matt wants some puns from Jackie.
Everyone wants Sitting Red Bull.
Urban Outfitters terrible Kent State sweatshirt
95 – Doc Talk! Laurie Kilmartin is tweeting about The Roosevelts wonderfully according to Jimmy. Apparently Teddy Roosevelt was a homicidal maniac thirsty for blood.
Are we all gonna end up on Dork Forest?!
Jackie calls me Garvin. I enjoy that.
100 – It has come to Jimmy’s attention that Colonel Sanders used to visit KFC locations in the 70s! Eliot found a commercial where the colonel was at a Chicago KFC.
Ellis Paul’s new album is available now on iTunes!
We’re done!
My pleasure,
Garon/The Beast/Mush Mouth Shy Guy/The Notekeeper